Making printed circuit boards on your own, which once required laborious, manual drawing of paths on laminate, today - in the era of laser printers and photochemical methods - has become a pleasure. However, before starting work it is worth to equip yourself with the necessary reagents and additional equipment which will not only speed up the work but also significantly improve the results. The quality of the materials used is just as important as the working technique, skills and experience of the manufacturer. In this category you will find high-quality etchants and other reagents and equipment for fast PCB manufacturing.
- - -
Entry 1:
## Na6Zn4In4SiS11O48 (PBE-GGA)

Data for an optimized crystal structure of Na6Zn4In4SiS11O48.

abc: 8.861 15.319 23.052
angles: 89.63 89.79 90.00
Element x y z (fractional)
Na  0.000  0.000  0.000
Na  0.000  0.003  0.494
Na  0.005  0.328  0.326
Na  0.011  0.668  0.658
Na  0.138  0.509  0.744
Na  0.168  0.185  0.745
Na  0.188  0.813  0.746
Na  0.323  0.684  0.248
Na  0.500  0.168  0.165
Na  0.500  0.502  0.494
Na  0.500  0.833  0.832
Na  0.501  0.506  0.996
Na  0.511  0.836  0.326
Na  0.524  0.167  0.659
Na  0.673  0.686  0.749
Na  0.861  0.507  0.241
Na  0.982  0.675  0.159
Na  0.986  0.330  0.830
Zn  0.001  0.669  0.510
Zn  0.002  0.328  0.173
Zn  0.002  0.339  0.981
Zn  0.017  0.669  0.818
Zn  0.498  0.168  0.312
Zn  0.499  0.832  0.675
Zn  0.501  0.169  0.510
Zn  0.503  0.833  0.980
Zn  0.980  0.675  0.312
Zn  0.981  0.326  0.676
Zn  0.998  0.004  0.144
Zn  0.998  0.670  0.011
In  0.000  0.336  0.478
In  0.001  0.005  0.344
In  0.495  0.505  0.644
In  0.498  0.836  0.477
In  0.499  0.510  0.848
In  0.502  0.170  0.014
In  0.502  0.505  0.345
In  0.509  0.505  0.143
In  0.511  0.837  0.177
In  0.518  0.169  0.812
In  0.991  0.006  0.643
In  0.996  0.006  0.846
Si  0.349  0.654  0.744
Si  0.652  0.653  0.245
Si  0.852  0.154  0.744
S  0.143  0.520  0.913
S  0.144  0.483  0.579
S  0.146  0.857  0.243
S  0.149  0.151  0.243
S  0.150  0.818  0.912
S  0.155  0.189  0.578
S  0.201  0.836  0.579
S  0.203  0.500  0.245
S  0.207  0.171  0.911
S  0.289  0.669  0.412
S  0.292  0.337  0.078
S  0.297  0.002  0.744
S  0.348  0.689  0.076
S  0.351  0.982  0.077
S  0.353  0.355  0.745
S  0.355  0.025  0.412
S  0.357  0.315  0.411
S  0.643  0.983  0.578
S  0.645  0.017  0.914
S  0.650  0.351  0.245
S  0.652  0.320  0.913
S  0.654  0.689  0.578
S  0.702  0.336  0.578
S  0.707  0.006  0.244
S  0.711  0.671  0.912
S  0.790  0.170  0.411
S  0.798  0.502  0.745
S  0.800  0.837  0.075
S  0.851  0.854  0.745
S  0.856  0.816  0.413
S  0.857  0.189  0.078
S  0.857  0.523  0.412
S  0.858  0.482  0.078
O  0.074  0.432  0.918
O  0.076  0.571  0.573
O  0.077  0.907  0.907
O  0.078  0.239  0.237
O  0.079  0.898  0.192
O  0.081  0.115  0.298
O  0.081  0.775  0.962
O  0.083  0.229  0.526
O  0.085  0.100  0.581
O  0.085  0.442  0.633
O  0.085  0.767  0.250
O  0.086  0.557  0.857
O  0.098  0.424  0.238
O  0.106  0.916  0.583
O  0.107  0.757  0.573
O  0.111  0.249  0.917
O  0.114  0.576  0.963
O  0.114  0.581  0.251
O  0.115  0.089  0.909
O  0.117  0.430  0.527
O  0.120  0.096  0.192
O  0.122  0.908  0.298
O  0.123  0.770  0.856
O  0.126  0.239  0.631
O  0.165  0.663  0.751
O  0.183  0.680  0.070
O  0.186  0.014  0.407
O  0.186  0.992  0.084
O  0.187  0.325  0.416
O  0.187  0.352  0.738
O  0.195  0.660  0.464
O  0.202  0.325  0.131
O  0.203  0.348  0.025
O  0.203  0.680  0.357
O  0.204  0.017  0.692
O  0.204  0.982  0.797
O  0.293  0.825  0.633
O  0.294  0.482  0.297
O  0.296  0.851  0.527
O  0.297  0.182  0.856
O  0.298  0.515  0.192
O  0.306  0.158  0.962
- - -
Universal Developer for Photolakers and Positive Laminates - 22g
A product to develop photo-varnishes and positive plates. Provides good quality and sharpness of contours. It does not contain NaOH, which increases work safety.Etcher for circuit boards B327 - 100g
Printed circuit board etching agent. Dissolves very quickly and does not crystallise from the solution. It etch evenly, ensuring sharp contours and minimising irritation.See also
PCB etching
Almost every method of PCB manufacturing involves the removal of copper where the insulation between tracks and solder pads is to run. There are two main methods - milling and etching in an aqueous solution of a highly chemically reactive substance - this is called an etchant, which is most often used as fine crystalline sodium persulfate (B327). In the case of etching, the work consists of covering the places where the paths will run - and here, too, we can identify two varieties of this technology (transfer of paths by photochemical method and thermal transfer). Regardless of the method of transferring the mosaic of tracks onto the laminate, the actual etching process is the same and consists of placing the laminate in an etching solution at the appropriate temperature.
Speeding up the etching process
**What comes next are calculated crystals, not part of the article**
'''
Arrangement A

First-principles (GGA+U) data for crystalline Fe21HO32 at its relaxed geometry, as listed in the Materials Project database.

Calculated values
The space group is Cmc2_1 (36).

Lattice parameters (Å, degrees): 8.186 8.186 16.398 90.00 90.00 89.94
Fractional positions:
Fe 0.000 0.000 0.001
Fe 0.000 0.000 0.501
Fe 0.000 0.498 0.750
Fe 0.000 0.502 0.250
Fe 0.016 0.984 0.758
Fe 0.125 0.372 0.564
Fe 0.125 0.628 0.436
Fe 0.126 0.372 0.064
Fe 0.126 0.628 0.936
Fe 0.247 0.753 0.126
Fe 0.250 0.251 0.375
Fe 0.250 0.750 0.624
Fe 0.251 0.250 0.875
Fe 0.371 0.373 0.187
Fe 0.371 0.629 0.312
Fe 0.372 0.125 0.064
Fe 0.372 0.126 0.564
Fe 0.372 0.874 0.936
Fe 0.372 0.875 0.436
Fe 0.373 0.371 0.687
Fe 0.373 0.627 0.812
Fe 0.498 0.000 0.250
Fe 0.499 0.501 0.500
Fe 0.501 0.499 0.000
Fe 0.502 0.000 0.750
Fe 0.627 0.373 0.312
Fe 0.627 0.629 0.187
Fe 0.628 0.125 0.936
Fe 0.628 0.126 0.436
Fe 0.628 0.874 0.064
Fe 0.628 0.875 0.564
Fe 0.629 0.371 0.812
Fe 0.629 0.627 0.687
Fe 0.749 0.750 0.375
Fe 0.750 0.250 0.124
Fe 0.750 0.749 0.875
Fe 0.753 0.247 0.626
Fe 0.874 0.372 0.436
Fe 0.874 0.628 0.564
Fe 0.875 0.372 0.936
Fe 0.875 0.628 0.064
Fe 0.984 0.016 0.258
H 0.122 0.878 0.811
H 0.878 0.122 0.311
O 0.111 0.387 0.443
O 0.111 0.612 0.556
O 0.111 0.613 0.056
O 0.112 0.388 0.944
O 0.121 0.140 0.810
O 0.121 0.879 0.680
O 0.126 0.874 0.187
O 0.140 0.121 0.310
O 0.143 0.385 0.178
O 0.143 0.617 0.822
O 0.143 0.857 0.941
O 0.144 0.145 0.057
O 0.144 0.615 0.322
O 0.144 0.856 0.442
O 0.145 0.144 0.557
O 0.145 0.386 0.678
O 0.364 0.367 0.567
O 0.366 0.634 0.432
O 0.366 0.634 0.933
O 0.367 0.364 0.067
O 0.383 0.857 0.822
O 0.385 0.143 0.678
O 0.385 0.856 0.322
O 0.386 0.145 0.178
O 0.387 0.111 0.943
O 0.387 0.388 0.305
O 0.387 0.613 0.194
O 0.387 0.613 0.694
O 0.387 0.889 0.056
O 0.388 0.112 0.444
O 0.388 0.387 0.805
O 0.388 0.889 0.556
O 0.612 0.111 0.056
O 0.612 0.613 0.305
O 0.612 0.888 0.944
O 0.613 0.111 0.556
O 0.613 0.387 0.194
O 0.613 0.387 0.694
O 0.613 0.612 0.805
O 0.613 0.889 0.443
O 0.614 0.855 0.678
O 0.615 0.144 0.822
O 0.615 0.857 0.178
O 0.617 0.143 0.322
O 0.633 0.636 0.567
O 0.634 0.366 0.433
O 0.634 0.366 0.932
O 0.636 0.633 0.067
O 0.855 0.614 0.178
O 0.855 0.856 0.057
O 0.856 0.144 0.942
O 0.856 0.385 0.822
O 0.856 0.855 0.557
O 0.857 0.143 0.441
O 0.857 0.383 0.322
O 0.857 0.615 0.678
O 0.860 0.879 0.810
O 0.874 0.126 0.687
O 0.879 0.121 0.180
O 0.879 0.860 0.310
O 0.888 0.612 0.444
O 0.889 0.387 0.556
O 0.889 0.388 0.056
O 0.889 0.613 0.943

***

Arrangement B

First-principles (GGA+U) data for crystalline Fe21HO32 at its relaxed geometry, as listed in the Materials Project database.

Calculated values
The space group is R3m (160).

Lattice parameters (Å, degrees): 8.531 8.531 8.531 89.30 89.30 89.30
Fractional positions:
Fe 0.034 0.034 0.034
Fe 0.042 0.042 0.522
Fe 0.042 0.522 0.042
Fe 0.157 0.674 0.674
Fe 0.165 0.417 0.417
Fe 0.291 0.291 0.799
Fe 0.291 0.799 0.291
Fe 0.406 0.672 0.921
Fe 0.406 0.921 0.672
Fe 0.417 0.165 0.417
'''
The etching process goes faster and gives better results if you take care of the fluid movement in addition to maintaining the right temperature. Although you can ensure this by quietly stirring the solution by hand, it is much easier and better to use a special etching machine, which will ensure the continuous movement of the liquid by forcing air bubbles into it. In our offer we have got etching machine from Velleman company - apart from the transparent, vertical container with a capacity of as much as 2.5 l, the kit also includes an electric heater and a pump, injecting air bubbles into the etching solution, which incredibly accelerates the etching process. This is important not only for the convenience and speed of work, but also for the results - faster etching in the right conditions is a guarantee of absence of harmful sub-etching and other damages of the produced PCB.
Inserted here: crystal structures:
┌──
Record 1
## NbInP2SO12 (PBE)

Data for an optimized crystal structure of NbInP2SO12. Values from VASP.

Computed properties:
* corrected total energy (MP2020 scheme): -0.5590 Ry/atom
* ΔH_f (0 K): -2.48 eV per atom
* M_tot: 0.00 μB/cell

```
&SYSTEM
  ibrav = 0, nat = 102, ntyp = 5
/
ATOMIC_SPECIES
Nb 92.91 Nb.upf
In 114.82 In.upf
P 30.97 P.upf
S 32.06 S.upf
O 16.00 O.upf
CELL_PARAMETERS angstrom
-8.520 -0.623 2.406
6.422 -1.702 5.929
0.060 22.106 5.940
ATOMIC_POSITIONS crystal
Nb 0.993 0.006 0.642
Nb 0.014 0.006 0.142
Nb 0.659 0.340 0.975
Nb 0.680 0.340 0.475
Nb 0.326 0.673 0.309
Nb 0.347 0.673 0.809
In 0.998 0.001 0.355
In 0.003 0.001 0.855
In 0.665 0.335 0.688
In 0.670 0.335 0.188
In 0.332 0.668 0.022
In 0.336 0.668 0.522
P 0.288 0.003 0.250
P 0.002 0.286 0.251
P 0.285 0.286 0.751
P 0.715 0.003 0.750
P 0.955 0.337 0.584
P 0.668 0.620 0.584
P 0.951 0.620 0.084
P 0.382 0.337 0.084
P 0.621 0.670 0.917
P 0.335 0.953 0.917
P 0.618 0.953 0.417
P 0.049 0.670 0.417
S 0.708 0.713 0.250
S 0.005 0.713 0.750
S 0.375 0.047 0.583
S 0.672 0.047 0.083
S 0.041 0.380 0.916
S 0.339 0.380 0.416
O 0.207 0.028 0.305
O 0.812 0.786 0.303
O 0.973 0.181 0.305
O 0.208 0.181 0.805
O 0.975 0.786 0.803
O 0.820 0.028 0.805
O 0.802 0.968 0.695
O 0.162 0.194 0.696
O 0.036 0.825 0.698
O 0.789 0.825 0.198
O 0.032 0.194 0.196
O 0.166 0.968 0.195
O 0.874 0.361 0.638
O 0.478 0.120 0.636
O 0.639 0.514 0.638
O 0.874 0.514 0.138
O 0.641 0.120 0.136
O 0.487 0.361 0.138
O 0.469 0.301 0.029
O 0.829 0.527 0.029
O 0.703 0.158 0.031
O 0.456 0.158 0.531
O 0.699 0.527 0.529
O 0.832 0.301 0.529
O 0.541 0.694 0.972
O 0.145 0.453 0.970
O 0.306 0.847 0.972
O 0.541 0.847 0.472
O 0.308 0.453 0.470
O 0.154 0.694 0.472
O 0.136 0.635 0.362
O 0.496 0.861 0.362
O 0.369 0.491 0.365
O 0.122 0.491 0.865
O 0.365 0.861 0.862
O 0.499 0.635 0.862
O 0.013 0.816 0.406
O 0.800 0.989 0.407
O 0.193 0.205 0.409
O 0.012 0.205 0.909
O 0.189 0.989 0.907
O 0.802 0.816 0.906
O 0.964 0.163 0.592
O 0.199 0.034 0.592
O 0.841 0.802 0.594
O 0.960 0.802 0.094
O 0.835 0.034 0.092
O 0.199 0.163 0.092
O 0.680 0.149 0.740
O 0.467 0.322 0.740
O 0.860 0.538 0.742
O 0.679 0.538 0.242
O 0.855 0.322 0.240
O 0.469 0.149 0.240
O 0.630 0.496 0.926
O 0.866 0.367 0.925
O 0.508 0.135 0.928
O 0.627 0.135 0.428
O 0.501 0.367 0.425
O 0.866 0.496 0.426
O 0.347 0.482 0.073
O 0.134 0.656 0.073
O 0.526 0.872 0.075
O 0.345 0.872 0.575
O 0.522 0.656 0.573
O 0.136 0.482 0.573
O 0.297 0.829 0.259
O 0.533 0.701 0.259
O 0.175 0.468 0.261
O 0.294 0.468 0.761
O 0.168 0.701 0.759
O 0.532 0.829 0.759
```


Record 2
## NbIn3P2S4O24 (PBE)

Data for an optimized crystal structure of NbIn3P2S4O24. Values from VASP.

Computed properties:
* corrected total energy (MP2020 scheme): -0.5167 Ry/atom
* ΔH_f (0 K): -2.19 eV per atom
* M_tot: 0.00 μB/cell
* symmetry: P1 (1)

```
&SYSTEM
  ibrav = 0, nat = 102, ntyp = 5
/
ATOMIC_SPECIES
Nb 92.91 Nb.upf
In 114.82 In.upf
P 30.97 P.upf
S 32.06 S.upf
O 16.00 O.upf
CELL_PARAMETERS angstrom
8.897 0.000 0.000
4.416 7.729 0.000
└──
Other reagents for PCB production
When making printed circuit boards on your own, it's worth having at hand not only etchant, but also other substances which will improve the final effect both visually and in terms of use - e.g. making it easier to solder and the accuracy of track reproduction. If you want to achieve high quality of tracks and soldering pads (especially thin connections and small insulation gaps), use photochemical method for which - apart from Positiv varnish or light sensitive laminate - you will need special developer. The finished board (regardless of the method of making it) should be whitened with a preparation for currentless tin plating of copper, which will protect the surface from oxidation and make soldering much easier.